### Listing
/*
For Li2Cr3NiO8, a DFT-relaxed cell (PBE+U, the Materials Project) gives the computed XRD peak list in this record (copper Kα).

Most intense lines, 5° ≤ 2θ ≤ 70°, low angle first:
- hkl 0 0 3, 2θ 18.27, intensity 1000
- hkl 0 1 2, 2θ 21.36, intensity 578
- hkl 1 0 4, 2θ 30.22, intensity 551
- hkl 1 1 3, 2θ 35.84, intensity 624
- hkl 0 2 1, 2θ 35.99, intensity 916
- hkl 0 2 4, 2θ 43.52, intensity 577

Atomic structure:
```
data_Li2Cr3NiO8
_cell_length_a 5.8495
_cell_length_b 5.8495
_cell_length_c 14.5702
_cell_angle_alpha 90.00
_cell_angle_beta 90.00
_cell_angle_gamma 120.00
_symmetry_space_group_name_H-M 'R 3 m'
_symmetry_Int_Tables_number 160
_symmetry_space_group_name_Hall 'R 3 -2"'
loop_
_atom_site_label
_atom_site_fract_x
_atom_site_fract_y
_atom_site_fract_z
Li1 0.0000 0.0000 0.0000
Li2 0.0000 0.0000 0.3773
Cr1 0.0050 0.5025 0.8776
Ni1 0.0000 0.0000 0.7552
O1 0.0000 0.0000 0.1368
O2 0.0000 0.0000 0.6171
O3 0.0258 0.5129 0.1393
O4 0.1804 0.3609 0.9459
```

For Li2Cr3NiO8, a DFT-relaxed cell (PBE+U, the Materials Project) gives the computed XRD peak list in this record (copper Kα).

Most intense lines, 5° ≤ 2θ ≤ 70°, low angle first:
- hkl 0 0 2, 2θ 18.41, intensity 628
- hkl 1 0 1, 2θ 19.86, intensity 1000
- hkl 1 1 2, 2θ 36.02, intensity 640
- hkl 2 0 1, 2θ 36.82, intensity 453
- hkl 2 0 3, 2θ 45.72, intensity 533
- hkl 2 0 5, 2θ 60.44, intensity 469

Atomic structure:
```
data_Li2Cr3NiO8
_cell_length_a 5.8280
_cell_length_b 5.8280
_cell_length_c 9.6361
_cell_angle_alpha 90.00
_cell_angle_beta 90.00
_cell_angle_gamma 120.00
_symmetry_space_group_name_H-M 'P 63 m c'
_symmetry_Int_Tables_number 186
_symmetry_space_group_name_Hall 'P 6c -2c'
loop_
_atom_site_label
_atom_site_fract_x
_atom_site_fract_y
_atom_site_fract_z
Li1 0.0000 0.0000 0.0000
Li2 0.3333 0.6667 0.3957
Cr1 0.1686 0.3372 0.7159
Ni1 0.3333 0.6667 0.9921
O1 0.0000 0.0000 0.3174
O2 0.0383 0.5191 0.8295
O3 0.1597 0.3193 0.1124
O4 0.3333 0.6667 0.6048
```

For Li2Cr2NiO6, a DFT-relaxed cell (PBE+U, the Materials Project) gives the computed XRD peak list in this record (copper Kα).

Most intense lines, 5° ≤ 2θ ≤ 70°, low angle first:
- hkl 2 0 -1, 2θ 18.15, intensity 1000
- hkl 4 0 1, 2θ 35.71, intensity 128
- hkl 1 3 1, 2θ 36.01, intensity 225
- hkl 6 0 0, 2θ 43.06, intensity 209
- hkl 1 3 -2, 2θ 43.51, intensity 402
- hkl 5 3 2, 2θ 63.34, intensity 110

Atomic structure:
```
data_Li2Cr2NiO6
_cell_length_a 13.0059
_cell_length_b 8.7564
_cell_length_c 5.9303
_cell_angle_alpha 90.00
_cell_angle_beta 104.26
_cell_angle_gamma 90.00
_symmetry_space_group_name_H-M 'C 1 2/m 1'
_symmetry_Int_Tables_number 12
loop_
_symmetry_equiv_pos_as_xyz
'x,y,z'
'-x,-y,-z'
'-x,y,-z'
'x,-y,z'
'x+1/2,y+1/2,z'
'-x+1/2,-y+1/2,-z'
'-x+1/2,y+1/2,-z'
'x+1/2,-y+1/2,z'
loop_
_atom_site_label
_atom_site_fract_x
_atom_site_fract_y
_atom_site_fract_z
Li1 0.0000 0.1651 0.0000
Li2 0.1613 0.3275 0.3320
Cr1 0.1661 0.3316 0.8260
Cr2 0.1714 0.0000 0.8238
Ni1 0.0000 0.1617 0.5000
Ni2 0.0000 0.5000 0.5000
O1 0.0093 0.3188 0.7253
O2 0.0135 0.0000 0.7251
O3 0.1489 0.5000 0.5859
O4 0.1711 0.1745 0.6094
O5 0.1712 0.5000 0.0505
O6 0.1747 0.1697 0.0591
```

For Li2Cr3NiO8, a DFT-relaxed cell (PBE+U, the Materials Project) gives the computed XRD peak list in this record (copper Kα).

Most intense lines, 5° ≤ 2θ ≤ 70°, low angle first:
- hkl 1 1 1, 2θ 18.42, intensity 1000
- hkl 3 1 1, 2θ 35.70, intensity 471
- hkl 0 0 4, 2θ 43.31, intensity 183
- hkl 0 4 0, 2θ 43.43, intensity 365
- hkl 5 1 1, 2θ 57.45, intensity 138
- hkl 0 4 4, 2θ 63.01, intensity 213

Atomic structure:
```
data_Li2Cr3NiO8
_cell_length_a 8.3359
_cell_length_b 8.3317
_cell_length_c 8.3570
_cell_angle_alpha 90.00
_cell_angle_beta 90.01
_cell_angle_gamma 90.00
_symmetry_space_group_name_H-M 'P 1 21 1'
_symmetry_Int_Tables_number 4
loop_
_symmetry_equiv_pos_as_xyz
'x,y,z'
'-x,y+1/2,-z'
loop_
_atom_site_label
_atom_site_fract_x
_atom_site_fract_y
_atom_site_fract_z
Li1 0.0019 0.0000 0.2500
Li2 0.2500 0.2492 0.5011
Li3 0.2515 0.7473 0.9983
*/
### Activity
Your job: search the contents above for the word "Cr2" and transcribe each line that has it.
### Here it is
Cr2 0.1714 0.0000 0.8238